Chinese medical protocols, administered correctly can have a great impact on the healing process and act as a re-set. Some of us look for that magic bullet with promises of hope applying very little effort. Long-term supplement plans can feel too expensive over time or we just get tired of taking a handful of pills day after day. How does one or two weeks of taking just one herbal remedy sound? This may be truly as simple as it sounds. For instance, if someone comes to me with a gut related issue, through my evaluations, I may find the liver Qi is stagnant. In which case, one herbal tonic may resolve the whole host of symptoms that otherwise may have cost that patient with the same scenario months of treatment in working to address the presenting main symptoms of, say heartburn/acid reflux, constipation alternating with loose stools and frequent stomachaches only to have a re-occurrence later. In this case, because these gut symptoms were relatively acute (not long-standing), supporting the liver provided just enough correction to the underling cause.
Get started for FREE – first three only! Reserve your spot! When treatment is miss-addressed, or handled in such a sway that goes against natures order of healing (from below up), you will find that, over the course of time different conditions will occur above (positionally in the body) from the previous or original condition. The exact opposite is true for healing. Shifts made in the energy body, and functionality with the systems in the physical body will present themselves as a course of healing action when different conditions begin to move down the body. This is especially the case for anyone with chronic health issues. This is the value of working with a practitioner trained in the healing art of Chinese Medicine.
+++
{"formula": "SiH10C2N4O2F6", "functional": "PBE", "state": "relaxed", "cell": [[8.290, 0.000, 0.000], [0.000, 12.734, 0.000], [0.000, 0.000, 9.226]], "species": ["Si", "Si", "Si", "Si", "H", "H", "H", "H", "H", "H", "H", "H", "H", "H", "H", "H", "H", "H", "H", "H", "H", "H", "H", "H", "H", "H", "H", "H", "H", "H", "H", "H", "H", "H", "H", "H", "H", "H", "H", "H", "H", "H", "H", "H", "C", "C", "C", "C", "C", "C", "C", "C", "N", "N", "N", "N", "N", "N", "N", "N", "N", "N", "N", "N", "N", "N", "N", "N", "O", "O", "O", "O", "O", "O", "O", "O", "F", "F", "F", "F", "F", "F", "F", "F", "F", "F", "F", "F", "F", "F", "F", "F", "F", "F", "F", "F", "F", "F", "F", "F"], "frac_coords": [[0.000, 0.000, 0.000], [0.000, 0.500, 0.500], [0.500, 0.000, 0.500], [0.500, 0.500, 0.000], [0.033, 0.102, 0.318], [0.033, 0.398, 0.818], [0.087, 0.666, 0.765], [0.087, 0.834, 0.265], [0.170, 0.595, 0.128], [0.170, 0.905, 0.628], [0.216, 0.125, 0.503], [0.216, 0.375, 0.003], [0.245, 0.652, 0.890], [0.245, 0.848, 0.390], [0.255, 0.152, 0.890], [0.255, 0.348, 0.390], [0.284, 0.625, 0.503], [0.284, 0.875, 0.003], [0.330, 0.095, 0.128], [0.330, 0.405, 0.628], [0.413, 0.166, 0.765], [0.413, 0.334, 0.265], [0.467, 0.602, 0.318], [0.467, 0.898, 0.818], [0.533, 0.102, 0.182], [0.533, 0.398, 0.682], [0.587, 0.666, 0.735], [0.587, 0.834, 0.235], [0.670, 0.595, 0.372], [0.670, 0.905, 0.872], [0.716, 0.125, 0.997], [0.716, 0.375, 0.497], [0.745, 0.652, 0.610], [0.745, 0.848, 0.110], [0.755, 0.152, 0.610], [0.755, 0.348, 0.110], [0.784, 0.625, 0.997], [0.784, 0.875, 0.497], [0.830, 0.095, 0.372], [0.830, 0.405, 0.872], [0.913, 0.166, 0.735], [0.913, 0.334, 0.235], [0.967, 0.602, 0.182], [0.967, 0.898, 0.682], [0.015, 0.646, 0.971], [0.015, 0.854, 0.471], [0.485, 0.146, 0.971], [0.485, 0.354, 0.471], [0.515, 0.646, 0.529], [0.515, 0.854, 0.029], [0.985, 0.146, 0.529], [0.985, 0.354, 0.029], [0.053, 0.615, 0.104], [0.053, 0.885, 0.604], [0.126, 0.666, 0.871], [0.126, 0.834, 0.371], [0.374, 0.166, 0.871], [0.374, 0.334, 0.371], [0.447, 0.115, 0.104], [0.447, 0.385, 0.604], [0.553, 0.615, 0.396], [0.553, 0.885, 0.896], [0.626, 0.666, 0.629], [0.626, 0.834, 0.129], [0.874, 0.166, 0.629], [0.874, 0.334, 0.129], [0.947, 0.115, 0.396], [0.947, 0.385, 0.896], [0.136, 0.161, 0.569], [0.136, 0.339, 0.069], [0.364, 0.661, 0.569], [0.364, 0.839, 0.069], [0.636, 0.161, 0.931], [0.636, 0.339, 0.431], [0.864, 0.661, 0.931], [0.864, 0.839, 0.431], [0.031, 0.114, 0.904], [0.031, 0.386, 0.404], [0.122, 0.047, 0.136], [0.122, 0.453, 0.636], [0.166, 0.557, 0.416], [0.166, 0.943, 0.916], [0.334, 0.057, 0.416], [0.334, 0.443, 0.916], [0.378, 0.547, 0.136], [0.378, 0.953, 0.636], [0.469, 0.614, 0.904], [0.469, 0.886, 0.404], [0.531, 0.114, 0.596], [0.531, 0.386, 0.096], [0.622, 0.047, 0.364], [0.622, 0.453, 0.864], [0.666, 0.557, 0.084], [0.666, 0.943, 0.584], [0.834, 0.057, 0.084], [0.834, 0.443, 0.584], [0.878, 0.547, 0.364], [0.878, 0.953, 0.864], [0.969, 0.614, 0.596], [0.969, 0.886, 0.096]], "formation_energy_mev_per_atom": -1440, "spacegroup": "No. 61"}
+++
Nearly 60,000,000 Americans suffer from irritable bowel syndrome, migraine headaches and fibromyalgia. Approximately 1/3 of them suffer moderate to severely debilitating symptoms, are refractory to standard therapies, and are actively seeking a solution for their illness. So, what do IBS, migraine, and fibromyalgia have in common?
In many cases, dietary triggers such as foods and food chemicals provoke symptoms. Numerous peer-reviewed controlled studies confirm this fact. Yet for the vast majority of physicians, diet remains one of the most overlooked and disregarded areas of treatment. A dietary problem requires a dietary solution. And that dietary solution is best administered by a practitioner extensively trained in food, biochemistry, and diets. If food and food chemicals play a role in making a patient ill, how can the patient get well without appropriately addressing diet? The truth is they can’t. That’s why so many patients suffering from these conditions are refractory to conventional drug therapies – because drugs don’t address the underlying problem. Since medications are the primary treatment modality used by most physicians, it’s unrealistic to expect any improvement in outcomes. Where is a starting place? Who is addressing these symptoms that arise to communicate a problem? Furthermore, who is able to discern what they mean? For instance, a Chinese physician looks at the tongue for clues as to what is happening, especially within the digestive system. On your own you can use a food journal. Simply write down your intake and any effects. You will learn to take an active role in your healthcare and become more observant of subtle effects. Secondly, a thorough food sensitivity test provides you evidence and assurance of your own feels about what may be causing a biological upset within your system. My current favorite is with Alcat Labs. “To heal, make whole.” This indicates that health is the ability to function in a unified way, in which all parts and living processes interact with each other in a complex, balanced exchange. Find out what blockages you have energetically with a biofeedback scan a therapy. If you are not sure about this and would like a sample session, I am offering these at just $30! I think we can all agree that our current medical model has let us down in one way or another. Especially in the sense that we perpetually “prescribe drugs of which we know little about, for a condition we understand even less, to a human of the least known”. ~ An altered quote from The Laws of Medicine Stay tuned and be sure you are subscribed to my HealthEnews! Here is the latest: |
January 2025